Dr. Michelle Brtek Zwiener is proof that it is possible to lead a normal life with type 1 diabetes.
The Norfolk woman was only 15 months old when she was first screened for the autoimmune disease that affects nearly 1.6 million Americans today.
Her mother took her to the doctor because she ate butter, Zwiener said, although no link was made between her butter eating and diabetes.
However, Zwiener, the daughter of Lou and the late Phyllis Brtek, was not officially diagnosed with diabetes until she was 15.
“I remember strange things,” she said, “as if I’m tired and my back is itchy.”
She also experienced the typical symptoms – hunger, fatigue, frequent urination, and thirst.
“By the time I was diagnosed, it had probably been brewing for a while,” she said. I was admitted to the hospital for seven days to have my blood sugar regulated. I went home with urine tests, a meal plan, and insulin. “
The exact cause of type 1 diabetes is unknown. Your immune system – which usually fights harmful bacteria or viruses – is known to attack and destroy your insulin-producing cells in the pancreas. This means you have little or no insulin. Instead of being transported into your cells, sugar builds up in the bloodstream. Without insulin injections, the disease is fatal, said Zwiener.
Zwiener spent her school years treating her condition by giving herself two insulin shots a day and using glucose monitoring systems that now seem archaic.
“You had to be connected and couldn’t be moved,” she said.
She also learned what foods to eat and which not.
Despite the inconvenience, her illness was not a major problem.
“My family made it normal … part of my life,” she said. “I was always prepared and never stopped doing what I normally would have done.”
When she graduated from high school in 1984, she used an insulin pump to get the required dose of insulin.
After high school, she fulfilled her lifelong dream of becoming a nurse and graduated from Mount Marty College in Yankton. There she consulted an endocrinologist who specializes in the treatment of diseases of the thyroid, pancreas and adrenal glands.
She also did two internships on diabetes and knew that one day she would like to make this disease her specialty. In 2004, she earned her Masters in Nursing as a Family Practice Nurse at the Medical Center of the University of Nebraska, and six years later she received her PhD. from the University of South Alabama.
She and her husband Don also had two healthy children, Sara and Brandon, an accomplishment that required her to monitor their condition much more closely than normal.
Zwiener worked in diabetes education at Faith Regional Health Services from 1997 to 2009 and taught at the UNMC College of Nursing in the Northern Division in Norfolk from 2009 to 2013.
In 2009, Zwiener opened the Norfolk Diabetes and Wellness Clinic, which specializes in helping people with or without diabetes lead a healthy life.
“We care about people who are not feeling well,” she said. “We want them to have the knowledge to be successful.”
Treating diabetes is much easier today than it was 40 years ago when Zwiener was first diagnosed.
Today she wears a monitor that monitors her blood sugar levels and delivers insulin when she needs it. The device works with her phone so she can track her condition.
The devices are particularly useful for parents of children with diabetes, as they too can remotely monitor their child’s blood sugar.
Insulin powder can now be inhaled.
“Insulins are much better,” said Zwiener. “People used to react to them a lot.
~~~
The following is a r²SCAN calculation of crystalline LuCuSi at its relaxed geometry, from Materials Project.

extended XYZ file:
```
6
Lattice="4.062 0.000 0.000 -2.031 3.518 0.000 0.000 0.000 7.277" Properties=species:S:1:pos:R:3 pbc="T T T"
Lu 0.000 0.000 3.638
Lu 0.000 0.000 0.000
Cu 0.000 2.345 1.819
Cu 2.031 1.173 5.458
Si 2.031 1.173 1.819
Si 0.000 2.345 5.458
```

Values from the calculation:
Calculated density in g/cm³: 8.5
Energy of formation in eV/atom: -0.710
Volume in Å³ per atom: 17.33

----------

# 1
A geometry-optimized FeSi4P4 structure, computed with GGA-PBE.

a = 4.8925 Å, b = 5.5602 Å, c = 6.0890 Å
α = 85.39°, β = 68.39°, γ = 70.46°
Fractional positions:
Fe: 0.0000 0.0000 0.0000
Si: 0.2393 0.3374 0.4305
Si: 0.3442 0.5986 0.8860
Si: 0.6807 0.7768 0.2162
Si: 0.8470 0.9712 0.6973
P: 0.1561 0.0091 0.3081
P: 0.3282 0.2172 0.7694
P: 0.6361 0.3982 0.1163
P: 0.7624 0.6406 0.5646

Values from the calculation:
As for the space-group type: No. 1. The largest piezoelectric modulus comes out at 0.18 C/m².


# 2
A geometry-optimized Sm2Fe12P7 structure, computed with GGA-PBE.

a = 9.0249 Å, b = 9.0249 Å, c = 3.6591 Å
α = 90.00°, β = 90.00°, γ = 120.00°
Fractional positions:
Sm: 0.0000 0.0000 0.0000
Sm: 0.3333 0.6667 0.5000
Fe: 0.0490 0.2849 0.5000
Fe: 0.0933 0.7053 0.0000
Fe: 0.2359 0.9510 0.5000
Fe: 0.2947 0.3881 0.0000
Fe: 0.3931 0.1804 0.0000
Fe: 0.5472 0.4312 0.5000
Fe: 0.5688 0.1160 0.5000
Fe: 0.6119 0.9067 0.0000
Fe: 0.7151 0.7641 0.5000
Fe: 0.7874 0.6069 0.0000
Fe: 0.8196 0.2126 0.0000
Fe: 0.8840 0.4528 0.5000
P: 0.0730 0.4432 0.0000
P: 0.2692 0.2250 0.5000
P: 0.3703 0.9270 0.0000
P: 0.5568 0.6298 0.0000
P: 0.6667 0.3333 0.0000
P: 0.7750 0.0442 0.5000
P: 0.9558 0.7308 0.5000

Values from the calculation:
As for the space-group type: No. 174. The value obtained for the total magnetization is 1.510 Bohr magnetons per cell.


# 3
A geometry-optimized SmFeP structure, computed with GGA-PBE.

a = 3.8239 Å, b = 3.8239 Å, c = 7.4274 Å
α = 90.00°, β = 90.00°, γ = 90.00°
Fractional positions:
Sm: 0.2500 0.2500 0.1887
Sm: 0.7500 0.7500 0.8113
Fe: 0.2500 0.7500 0.5000
Fe: 0.7500 0.2500 0.5000
P: 0.2500 0.2500 0.6594
P: 0.7500 0.7500 0.3406

Values from the calculation:
As for the space-group type: No. 129. The value obtained for the total magnetization is 0.000 Bohr magnetons per cell.


# 4
A geometry-optimized Ta4FeP structure, computed with GGA-PBE.

a = 6.1075 Å, b = 6.1075 Å, c = 5.0959 Å
α = 90.00°, β = 90.00°, γ = 90.00°
Fractional positions:
Ta: 0.1575 0.3304 0.0000
Ta: 0.1575 0.6696 0.5000
Ta: 0.3304 0.1575 0.5000
Ta: 0.3304 0.8425 0.0000
Ta: 0.6696 0.1575 0.0000
Ta: 0.6696 0.8425 0.5000
Ta: 0.8425 0.3304 0.5000
Ta: 0.8425 0.6696 0.0000
Fe: 0.0000 0.0000 0.2500
Fe: 0.0000 0.0000 0.7500
P: 0.5000 0.5000 0.2500
P: 0.5000 0.5000 0.7500

Values from the calculation:
As for the space-group type: No. 124. The value obtained for the total magnetization is 0.002 Bohr magnetons per cell.


# 5
~~~
Better insulin and new technologies are important as the number of people diagnosed with diabetes – both type 1 and type 2 – increases, Zwiener said.
Zwiener is proof that dealing with a chronic illness is not easy, but possible.
“It’s just life,” she said.